Some impressions from the sacred pilgrimage to ASSISI - january 2015
Quantum chemistry results that have nothing to do with the page.
~~~
No. 1
DFT (ωB97M-V/def2-TZVPD) results for 2 unconnected molecules or ions with the total composition C2H4F2OS at a distorted geometry.

```
10
Properties=species:S:1:pos:R:3:nbo_charge:R:1
C 1.0919 0.4243 1.3879 0.07
C -0.8221 -0.8401 -1.1344 -0.16
O -1.2117 1.5664 -0.6490 -0.89
F 1.2043 1.6576 1.8156 -0.33
F 0.1750 -1.8078 -0.9559 -0.37
S -0.0685 0.8312 -1.0909 1.00
H 0.3037 -0.1628 1.7047 0.15
H 2.1076 0.1850 1.2337 0.15
H -1.3944 -0.8551 -2.0555 0.19
H -1.3858 -0.9987 -0.2562 0.19
```

electronic energy = -20452.293 eV
energy relative to the best compared isomer or geometry (same formula, charge and spin) = 347.3 kJ/mol
HOMO level (spin up / spin down) = -8.594 / -8.714 eV
orbital gap (spin up / spin down) = 7.9667 / 8.9180 eV

No. 2
DFT (ωB97M-V/def2-TZVPD) results for 2 unconnected molecules or ions with the total composition C2H4F2S at a distorted geometry.

```
9
Properties=species:S:1:pos:R:3:nbo_charge:R:1
C -0.2653 -0.5635 1.8576 -0.53
C 0.4556 0.5543 -1.0981 0.47
F 1.8146 0.6338 -1.0242 -0.35
F 0.0686 1.7177 -0.6478 -0.32
S -0.0111 -0.2605 -2.4840 0.09
H 0.0815 0.4835 1.8700 0.18
H -1.3902 -0.8135 1.9062 0.17
H 0.4212 -1.3525 1.6901 0.17
H -1.1748 -0.3994 -2.0698 0.12
```

electronic energy = -18404.533 eV
energy relative to the best compared isomer or geometry (same formula, charge and spin) = 449.5 kJ/mol
HOMO level (spin up / spin down) = -8.876 / -8.242 eV
orbital gap (spin up / spin down) = 8.9453 / 8.3711 eV

No. 3
DFT (ωB97M-V/def2-TZVPD) results for 2 unconnected molecules or ions with the total composition C2H4F2S2 at a distorted geometry.

```
10
Properties=species:S:1:pos:R:3:nbo_charge:R:1
C -2.1319 -2.1544 -0.5037 -0.60
C -2.7965 -1.1173 -0.0510 0.76
F -3.6815 -1.1105 0.9286 -0.31
F -2.8434 0.0952 -0.5925 -0.31
H -2.1008 -3.0296 0.0072 0.22
H -1.5812 -2.1221 -1.4847 0.23
S 3.4729 -1.3191 0.3451 -0.13
S 1.6482 -0.5057 1.0206 -0.12
H 3.1390 -2.6266 0.3482 0.13
H 2.0996 0.0519 2.1351 0.13
```

electronic energy = -29243.047 eV
energy relative to the best compared isomer or geometry (same formula, charge and spin) = 67.8 kJ/mol
HOMO level = -9.290 eV
orbital gap = 9.4693 eV
SMILES = C=C(F)F.SS

No. 4
DFT (ωB97M-V/def2-TZVPD) results for 2 unconnected molecules or ions with the total composition C2H4F2Si at a distorted geometry.

```
9
Properties=species:S:1:pos:R:3:nbo_charge:R:1
C -1.9496 0.2482 0.0992 -0.50
C -0.8464 -0.3599 0.4398 -0.39
F 2.2377 1.1284 0.3456 -0.65
F 2.8502 -1.2266 0.0081 -0.65
Si 1.8003 -0.1026 -0.5216 1.88
H -2.6904 0.3396 0.9902 0.20
H -2.2078 0.9156 -0.7675 0.21
H -0.8118 -0.9553 1.2783 0.16
H 1.6179 0.0128 -1.8722 -0.25
```

electronic energy = -15450.556 eV
energy relative to the best compared isomer or geometry (same formula, charge and spin) = 329.5 kJ/mol
HOMO level = -8.652 eV
orbital gap = 8.8918 eV

No. 5
DFT (ωB97M-V/def2-TZVPD) results for a molecular structure, C2H4F3NO4SYb at a distorted geometry.

```
16
Properties=species:S:1:pos:R:3:nbo_charge:R:1
O 0.3357 -1.6243 1.3773 -0.97
~~~
Here the page continues.
It was an early winter evening and it drizzled when our extremely well tuned konvoy was reaching its final destination. Suddenly we could see in the limelight ahead of us the little town in all its magic. We were stunned, just pulled at the side of the road and admired the beauty. Assisi enchanted us in a moment.
It was an early winter evening and it drizzled when our extremely well tuned konvoy was reaching its final destination. Suddenly we could see in the limelight ahead of us the little town in all its magic. We were stunned, just pulled at the side of the road and admired the beauty. Assisi enchanted us in a moment.
We heard st. Francis' life story but then we wanted to experience his heritage here, at the very source. We wanted to connect within ourselves with the qulities that he cherished - simplicity, devotion, humbleness, compation, service, love...and Assisi truely offered us all this. Every stone, every building, street, church, monastery, the air... everywhere we breathed indescribable peace, grace and holiness which became a part of us.
We weren't quite sure about choosing this winter time for the journey. Nature and people are more introverted at this time of the year but it is also colder and far less comfortable. Well, it turned out to be a really good time. There weren't many people in Assisi and we had all the time available that we possibly wished for, which is normally very rare here. We could take our time in churches, temples, hidden corners...we experienced live prayers, the devotion of the pilgrims and of course each and every one of us our own story.
I left Assisi full of gratitude in my heart, excited about our international group of marvelous people which was so supportive and encouraging. We surrendered, opened our hearts and let everything was all so clean and simple, incredible..
Every little corner and the whole place took me to the miracle of existence beyond the visible and simingly the depths of the past centuries and vast fields, the closeness of nature and the whisper of the the place within, where grace fills the heart and the tears run down the cheeks...for it is so simple and at the same time so incredibly majestic and heaveny beautiful.
Like our dear Verica and Andrej said: "It was really beautiful. Thank you for the experience. We think this is just what we needed and it will be our guidance for the future.
Like our dear Verica and Andrej said: "It was really beautiful. Thank you for the experience. We think this is just what we needed and it will be our guidance for the future.